[To do]
The reader should quote the part of the block below that starts with the line with "-0.552" and stops after the one with "-6.266".

[Listing]
(1)
DFT (wB97M-V/def2-TZVPD) results for a cluster of 2 separate species, CH5NOS2 in total in a non-equilibrium geometry.

electronic energy: -26321.623 eV
gap between HOMO and LUMO (alpha / beta): 7.447 / 7.280 eV
spin multiplicity: 3
energy above the lowest of the compared OMol25 structures with the same formula, charge and spin: 0.474 eV

Element x y z (Å)
C  -0.954  -0.866  0.315
N  -0.403  1.549  0.520
O  1.281  -0.491  -0.945
S  -0.850  0.632  -0.670
S  2.149  -0.088  0.492
H  0.023  -1.447  0.270
H  -1.771  -1.449  -0.113
H  -1.180  -0.431  1.386
H  -0.132  2.521  0.274
H  1.836  0.071  -1.530

(2)
DFT (wB97M-V/def2-TZVPD) results for a cluster of 2 separate species, CH5NP2 in total in a non-equilibrium geometry.

electronic energy: -21181.187 eV
gap between HOMO and LUMO (alpha / beta): 6.878 / 7.598 eV
spin multiplicity: 1
energy above the lowest of the compared OMol25 structures with the same formula, charge and spin: 3.253 eV

Element x y z (Å)
C  -0.742  0.066  -0.760
N  -0.676  1.282  -0.963
P  -1.872  -1.111  -0.051
P  1.875  -0.858  -0.147
H  0.116  1.916  -1.058
H  -1.257  -2.108  -0.716
H  -2.672  -0.928  -1.240
H  2.063  0.377  0.470
H  1.212  -1.774  0.742

(3)
DFT (wB97M-V/def2-TZVPD) results for a cluster of 2 separate species, CH5NS in total in a non-equilibrium geometry.

electronic energy: -13441.372 eV
gap between HOMO and LUMO (alpha / beta): 3.124 / 9.240 eV
spin multiplicity: 2
total charge: -1
energy above the lowest of the compared OMol25 structures with the same formula, charge and spin: 0.910 eV

Element x y z (Å)
S  -2.120  0.145  1.184
H  -1.009  -0.423  1.758
C  1.338  0.524  -0.874
N  1.409  -0.489  -1.612
H  0.624  0.672  -0.058
H  2.011  1.382  -0.989
H  -2.946  -0.652  1.905
H  0.693  -1.159  -1.313

(4)
DFT (wB97M-V/def2-TZVPD) results for a structure of composition CH5O2PS in a non-equilibrium geometry.

electronic energy: -25335.476 eV
gap between HOMO and LUMO: 9.573 eV
spin multiplicity: 1
energy above the lowest of the compared OMol25 structures with the same formula, charge and spin: 2.816 eV

Element x y z (Å)
C  -1.675  -0.007  0.125
O  -1.742  1.208  -0.001
O  -0.766  -0.789  0.049
P  1.418  -0.393  -0.038
S  1.007  1.433  0.604
H  -2.811  -0.493  0.293
H  -0.738  1.568  -0.078
H  2.910  -0.305  -0.133
H  1.345  -1.669  0.419
H  1.051  -0.552  -1.240

(5)
DFT (wB97M-V/def2-TZVPD) results for a cluster of 2 separate species, CH5O3PSi in total in a non-equilibrium geometry.

electronic energy: -24424.064 eV
gap between HOMO and LUMO: 1.792 eV
spin multiplicity: 1
total charge: -2
energy above the lowest of the compared OMol25 structures with the same formula, charge and spin: 3.324 eV

Element x y z (Å)
C  0.804  0.958  1.769
O  2.185  -1.483  1.922
O  -0.826  -0.912  -1.486
O  2.499  -0.174  -0.112
Si  -0.272  -1.624  -0.287
P  1.690  -0.387  1.098
H  0.192  1.578  1.107
H  0.511  0.739  2.736
H  -1.268  -2.107  0.733
H  0.750  -2.609  -0.318
H  -6.266  6.022  -7.162

(6)
DFT (wB97M-V/def2-TZVPD) results for a cluster of 2 separate species, CH5OP in total in a non-equilibrium geometry.

electronic energy: -12450.945 eV
gap between HOMO and LUMO (alpha / beta): 8.396 / 8.096 eV
spin multiplicity: 1
energy above the lowest of the compared OMol25 structures with the same formula, charge and spin: 3.194 eV

Element x y z (Å)
C  -1.114  -0.388  -0.594
O  2.424  0.360  -0.938
P  1.843  -0.427  0.382
H  -0.812  -0.615  -1.589
H  -0.758  0.607  -0.406
H  -1.862  -0.813  -0.036
H  2.784  1.201  -0.809
H  1.772  0.811  1.160

(7)
DFT (wB97M-V/def2-TZVPD) results for a cluster of 2 separate species, CH5OS in total in a non-equilibrium geometry.

electronic energy: -14000.945 eV
gap between HOMO and LUMO: 6.839 eV
spin multiplicity: 1
total charge: -1
energy above the lowest of the compared OMol25 structures with the same formula, charge and spin: 0.861 eV

Element x y z (Å)
O  -0.058  1.467  2.430
H  0.144  0.910  1.499
C  0.057  -1.051  -1.274
S  0.475  0.627  -0.806

[Worked solution]
H  1.051  -0.552  -1.240

(5)
DFT (wB97M-V/def2-TZVPD) results for a cluster of 2 separate species, CH5O3PSi in total in a non-equilibrium geometry.

electronic energy: -24424.064 eV
gap between HOMO and LUMO: 1.792 eV
spin multiplicity: 1
total charge: -2
energy above the lowest of the compared OMol25 structures with the same formula, charge and spin: 3.324 eV

Element x y z (Å)
C  0.804  0.958  1.769
O  2.185  -1.483  1.922
O  -0.826  -0.912  -1.486
O  2.499  -0.174  -0.112
Si  -0.272  -1.624  -0.287
P  1.690  -0.387  1.098
H  0.192  1.578  1.107
H  0.511  0.739  2.736
H  -1.268  -2.107  0.733
H  0.750  -2.609  -0.318
H  -6.266  6.022  -7.162